Wednesday, May 9, 2012


-What is stupidity?

Today we looked at what stupidity is, and why it is so difficult to define. A question that was raised was "How can we understand stupidity if we don't understand knowledge?", which is essentially is what TOK explores.

" Only two things are infinite, the universe and human stupidity, and I'm not sure about the former" -Albert Einstein

A definition of stupid in the Oxford English Dictionary is as follows:
1) Lacking intelligence or common sense
2) Dazed and unable to think clearly
3) (informal) used to express exasperation or boredom

In the documentary we watched in class, these 'types' of definitions were what the people interviewed came up with. It seems to be the inability to think appropriately in an intellectual, social, or any sort of situation.In this sense, the expression of 'exasperation or boredom' fits as being bored takes our ability to think properly.

However, everyday we use the word 'stupid' in a much broader sense. Anything we don't approve of is 'stupid'. Where does this ambiguous word which all people use come from?
The documentary showed how humans have had a uncomfortable history with ignorance, and have avoided to confront the issue in a proper academic form. The IQ, which measures intelligence in a scientific manner, on the other hand of the scale also defines stupidity. The IQ test originally served to classify retardation in children, although now we tend to avoid the direct classification of people with low IQ as 'retarded'. Different words that compare levels of stupidity in people were clarified then.

There is also a tendency for people to opt for stupidity. Watching television is a almost brainless activity, which causes a state of virtual catatonia. We know this, yet at the end of the day when we are tired, we often want to watch television brainlessly. The whole commercial industry and the media is based around this concept of brainless activity. Yet it is 'commercial' because it reaches to wide audiences and makes money. So can stupidity be a type of social phenomena/disease? I think the fact that people are living in intellectual society which promotes knowledge means that on the other hand, intelligence is also used to create stupidity. Because there is intelligence, stupidity is created. It is like saying someone can only become healthy because unhealthiness exists, and if unhealthiness didn't exist, then there would be no pursuit for better health.

So what is stupidity? I don't know :)

Wednesday, May 2, 2012

Mathematics (cont.)

The Problem of Consistency; Beauty and Elegance; Mathematics in the Universe
Although Math seems like the most provable, definite area of knowledge, it has its flaws and paradoxes. 
One example given in the lecture was Gottlob Frege's work, which involved trying to reduce all theories into simple arithmetic. Lord Russell challenged Frege's work at a fundamental level, concerning the 'set paradox'. This paradox was about a set containing all sets that are not members of themselves.
What happens with the set of the "sets that do not contain themselves as elements"? Now it seems that there are knot theories (diagram below) which can get around the set paradox.

With the problem showed in the lecture of whether N=0.999... is equal to 1, the 'paradox' created here depends upon our definition of infinity (quoted from my mom :) ). We can prove N to be 1 with simple algebra:
N = 0.99999
10N = 9.9999
10N-N = 9.9999 - 0.9999
9N = 9
N = 1
The simplicity in this logic is satisfying. However if we were to really look into whether 0.999 does equal 1, we would look at if we define 0.9999 approaching 1 to be 1, thus how we define the infinite number of nines. When talking about beauty and elegance in math, I feel this type of discussion is what attracts people to pure maths. 

Misplaced crystal structures =
No. 1
AcY2Cd | PBE-GGA | optimized geometry

```
data_AcY2Cd
_chemical_formula_sum 'Ac1 Y2 Cd1'
_symmetry_space_group_name_H-M 'P 4/m m m'
_symmetry_Int_Tables_number 123
_symmetry_space_group_name_Hall '-P 4 2'
_cell_length_a 5.681
_cell_length_b 5.681
_cell_length_c 3.899
_cell_angle_alpha 90.00
_cell_angle_beta 90.00
_cell_angle_gamma 90.00
loop_
_atom_site_label
_atom_site_type_symbol
_atom_site_fract_x
_atom_site_fract_y
_atom_site_fract_z
Ac1 Ac 0.000 0.000 0.000
Y1 Y 0.000 0.500 0.500
Cd1 Cd 0.500 0.500 0.000
```

Summary:
- Mass density: 6.8 g/cm3
- ΔH_f (0 K): 0.02 eV/atom
- D(E_F): 5.8 states/eV per cell
- Energy above the lowest structure with this stoichiometry: 158.0 meV/atom
- V: 31.456 Å³/atom

***

No. 2
K2LaTmSe4 | PBE-GGA | optimized geometry

```
data_K2LaTmSe4
_chemical_formula_sum 'K2 La1 Tm1 Se4'
_symmetry_space_group_name_H-M 'P 1 2/m 1'
_symmetry_Int_Tables_number 10
_symmetry_space_group_name_Hall '-P 2y'
_cell_length_a 7.459
_cell_length_b 4.303
_cell_length_c 8.077
_cell_angle_alpha 90.00
_cell_angle_beta 107.88
_cell_angle_gamma 90.00
loop_
_atom_site_label
_atom_site_type_symbol
_atom_site_fract_x
_atom_site_fract_y
_atom_site_fract_z
K1 K 0.000 0.000 0.000
K2 K 0.500 0.500 0.000
La1 La 0.000 0.500 0.500
Tm1 Tm 0.500 0.000 0.500
Se1 Se 0.250 0.000 0.709
Se2 Se 0.278 0.500 0.296
```

Summary:
- Mass density: 4.7 g/cm3
- Uncorrected formation energy: -1.780 eV/atom
- D(E_F): 0.0 states/eV per cell
- V: 30.835 Å³/atom

***

No. 3
CsAgGe3 | PBE-GGA | optimized geometry

```
data_CsAgGe3
_chemical_formula_sum 'Cs1 Ag1 Ge3'
_symmetry_space_group_name_H-M 'P m -3 m'
_symmetry_Int_Tables_number 221
_symmetry_space_group_name_Hall '-P 4 2 3'
_cell_length_a 5.287
_cell_length_b 5.287
_cell_length_c 5.287
_cell_angle_alpha 90.00
_cell_angle_beta 90.00
_cell_angle_gamma 90.00
loop_
_atom_site_label
_atom_site_type_symbol
_atom_site_fract_x
_atom_site_fract_y
_atom_site_fract_z
Cs1 Cs 0.000 0.000 0.000
Ag1 Ag 0.500 0.500 0.500
Ge1 Ge 0.000 0.500 0.500
```

Summary:
- Mass density: 5.2 g/cm3
- ΔH_f (0 K): 0.57 eV/atom
- D(E_F): 5.0 states/eV per cell
- Energy above the lowest structure with this stoichiometry: 0.0 meV/atom
- V: 29.564 Å³/atom

***

| no. | final energy (eV for the cell shown) |
| --- | --- |
| 1 | -17.9 |
| 2 | -39.8 |
| 3 | -14.7 |

~~~~~

Record 1
This record from Alexandria via LeMat-Bulk describes a geometry-optimized MgZr2P structure. The functional is PBE.

As for the formation energy: -0.319 eV/atom. For the density of states at the Fermi level, the calculation gives 2.9 states/eV/f.u. As for the volume: 152.2 Å³ per cell. The calculation puts the excess energy over the best structure of this formula in the dataset at 311.5 meV/atom. For the calculated density, the calculation gives 5.2 g/cm³.

Maths does have flaws, but mathematicians work on its flaws to correct them and explain how things work. In fact without its paradoxes and flaws, I'm not sure if there would be that many mathematicians in the world, because everything would work in perfect simple logic. 

Then there is the question, is maths just a coincidence that math is so prevalent in reality? Was maths invented by people or was it discovered? Maths is a pure science, that is systematic and logical, as well as an art to create fundamental logic. It definitely to some point has been defined by people, as we can see in ancient civilizations where maths that began in different areas of the world came about differently. 

I think it makes sense that maths works, because the universe was not created by pure randomness. When things happen there is normally a cause and effect, and if the universe was created by a chain of cause and effects, then it seems reasonable that things fell into place in a somewhat structured way. The coincidence of the Golden Ratio may not be explainable by human minds (at least currently). But the brain is a biological object which has cells, structure, science to it, and it seems logical that we react to certain ratios naturally.